┌──
1.
C45H65BN5P2SeW | wB97M-V/def2-TZVPD

Each line ends with the Löwdin spin population.
CARTESIAN COORDINATES (ANGSTROEM)
W: -0.12 0.14 0.39  1.371
Se: -1.78 -0.54 -1.57  0.114
P: 1.87 -1.73 -0.26  0.021
P: -0.25 1.43 2.60  0.090
N: 0.69 1.84 -1.06  0.033
N: -5.72 5.56 -3.54  0.000
N: 0.11 3.44 -2.84  0.007
N: 1.28 -2.13 2.30  0.039
N: -0.29 -0.98 3.47  0.039
C: -3.49 4.32 0.58  0.000
C: -1.50 -1.71 -3.08  0.025
C: -1.40 2.92 2.47  -0.005
C: 1.70 -3.95 5.54  0.010
C: -3.23 -3.32 -2.05  0.004
C: -1.59 1.13 1.03  -0.022
C: 0.00 -2.22 5.66  0.006
C: -0.65 3.96 1.63  0.000
C: 4.60 -2.07 -0.97  0.000
C: -2.51 2.17 1.58  -0.009
C: 2.34 -4.57 -0.38  -0.001
C: 2.44 -2.18 1.44  0.006
C: 1.25 -2.63 3.61  0.005
C: 1.43 -3.45 -0.90  0.000
C: -0.93 0.26 3.86  -0.001
C: 2.09 0.75 3.95  0.002
C: 0.27 -1.93 4.33  0.004
C: 2.32 2.55 2.23  0.017
C: 1.97 -3.65 4.21  0.006
C: 3.44 -1.08 -1.03  0.002
C: 1.46 -3.48 -2.43  0.000
C: -0.70 -1.35 -4.17  0.005
C: 0.73 -3.24 6.26  0.010
C: -1.94 3.51 3.77  -0.002
C: 1.15 3.01 4.43  0.010
C: 0.40 2.57 -1.91  0.016
C: -3.54 2.30 -0.70  0.000
C: -4.24 2.95 -1.71  0.000
C: -4.17 4.98 -0.43  0.000
C: -0.01 -0.01 -4.27  0.002
C: -2.22 -2.91 -3.11  0.005
C: -5.21 5.00 -2.67  0.000
C: -2.04 -3.78 -4.19  0.000
C: 3.80 0.20 -0.27  0.008
C: 1.41 1.98 3.34  0.047
C: -3.72 1.62 2.39  -0.004
C: -1.20 -3.47 -5.25  0.002
C: 3.18 -0.66 -2.49  0.000
C: -1.20 3.39 -3.52  0.002
C: -3.14 2.98 0.44  -0.002
C: -0.56 -2.24 -5.23  0.001
C: 1.07 4.48 -3.22  0.001
C: -4.53 4.30 -1.59  0.000
C: -1.03 -4.43 -6.41  0.000
C: 0.00 -3.75 -0.41  0.005
B: 0.27 -1.11 2.15  0.091
H: 0.45 2.66 5.18  0.000
H: -1.42 -5.42 -6.17  0.000
H: -0.67 0.72 -4.75  0.000
H: 3.19 -1.46 1.76  0.001
H: 0.23 4.32 2.17  0.000
H: -0.71 -3.01 -0.75  0.004
H: 0.03 -4.54 -6.67  0.000
H: -2.60 -4.71 -4.20  0.000
H: 2.32 0.01 -2.55  0.000
H: -0.64 0.56 4.87  0.000
H: 1.00 -2.61 -2.88  0.000
H: 2.49 -3.57 -2.80  0.000
H: 5.50 -1.56 -1.32  0.000
H: -1.27 4.83 1.44  0.000
H: -1.32 4.34 4.11  0.000
H: -0.30 -4.73 -0.81  0.000
H: -2.00 2.79 4.59  0.000
H: -1.54 -4.07 -7.30  0.000
H: 3.37 2.38 2.49  0.000
H: -0.32 3.56 0.67  0.000
H: 2.00 4.34 -2.67  0.000
H: 2.18 3.62 2.09  0.000
H: -4.49 2.38 2.44  0.000
H: 4.44 -2.94 -1.61  0.000
H: 4.05 -0.11 -2.85  0.000
H: -4.55 2.41 -2.60  0.000
H: 1.53 0.32 4.78  0.001
H: -2.74 -3.78 -1.18  0.000
H: -0.76 -1.68 6.21  0.000
H: -3.48 1.34 3.41  0.000
H: 2.98 0.92 -0.30  0.006
H: 3.40 -4.35 -0.45  0.000
H: 2.25 -4.74 6.03  0.000
H: 2.16 2.07 1.26  0.014
H: -4.14 0.75 1.88  0.000
H: 3.05 1.09 4.35  0.001
H: -3.32 1.24 -0.82  0.000
H: -2.95 3.90 3.62  0.000
H: -1.04 3.32 -4.60  0.000
H: -0.05 -3.80 0.68  0.000
H: 0.07 -1.96 -6.07  0.000
H: 4.07 0.02 0.78  0.000
H: 3.01 -1.50 -3.15  0.000
H: 2.11 -4.84 0.66  0.000
H: 0.89 -0.08 -4.89  0.000
H: 0.91 -4.36 -2.78  0.000
H: -3.26 4.86 1.49  0.000
H: 2.28 -0.03 3.22  0.000
H: 2.73 -4.20 3.66  0.000
H: -1.76 4.30 -3.30  0.000
H: 0.26 0.37 -3.29  0.001
H: -3.93 -4.04 -2.46  0.000
H: 2.92 -3.16 1.45  0.000
H: 4.80 -2.42 0.05  0.000
H: 1.27 4.42 -4.29  0.000
H: 0.54 -3.50 7.29  0.000
H: 4.66 0.66 -0.75  0.001
H: 0.66 5.47 -2.98  0.000
H: -4.43 6.03 -0.32  0.000
H: -1.75 2.52 -3.18  0.001
H: -2.00 0.20 3.81  0.000
H: 0.80 3.97 4.04  0.000
H: 2.14 -5.46 -0.99  0.000
H: 2.10 3.20 4.94  0.004
H: -3.79 -2.46 -1.68  0.002

The LUMO energy (spin up / spin down) comes out at -2.687 / -4.055 eV. The value obtained for the energy above the lowest of the compared OMol25 structures with the same formula, charge and spin is 1.320 eV. The net charge is +1. The expectation value of S² is 2.028. The calculation puts the HOMO-LUMO gap (spin up / spin down) at 6.633 / 5.816 eV. The calculation puts the HOMO energy (spin up / spin down) at -9.3 / -9.9 eV. Its multiplicity is 3. The value obtained for the calculated total energy is -141590.7512 eV.

2.
C45H65BiN4P2SeSi | wB97M-V/def2-TZVPD

Each line ends with the Mulliken charge.
CARTESIAN COORDINATES (ANGSTROEM)
Bi: 0.42 0.40 -0.01  3.054
└──
What is needed: find the line above that holds "-0.26", then repeat that line and all lines after it there.
P: 1.87 -1.73 -0.26  0.021
P: -0.25 1.43 2.60  0.090
N: 0.69 1.84 -1.06  0.033
N: -5.72 5.56 -3.54  0.000
N: 0.11 3.44 -2.84  0.007
N: 1.28 -2.13 2.30  0.039
N: -0.29 -0.98 3.47  0.039
C: -3.49 4.32 0.58  0.000
C: -1.50 -1.71 -3.08  0.025
C: -1.40 2.92 2.47  -0.005
C: 1.70 -3.95 5.54  0.010
C: -3.23 -3.32 -2.05  0.004
C: -1.59 1.13 1.03  -0.022
C: 0.00 -2.22 5.66  0.006
C: -0.65 3.96 1.63  0.000
C: 4.60 -2.07 -0.97  0.000
C: -2.51 2.17 1.58  -0.009
C: 2.34 -4.57 -0.38  -0.001
C: 2.44 -2.18 1.44  0.006
C: 1.25 -2.63 3.61  0.005
C: 1.43 -3.45 -0.90  0.000
C: -0.93 0.26 3.86  -0.001
C: 2.09 0.75 3.95  0.002
C: 0.27 -1.93 4.33  0.004
C: 2.32 2.55 2.23  0.017
C: 1.97 -3.65 4.21  0.006
C: 3.44 -1.08 -1.03  0.002
C: 1.46 -3.48 -2.43  0.000
C: -0.70 -1.35 -4.17  0.005
C: 0.73 -3.24 6.26  0.010
C: -1.94 3.51 3.77  -0.002
C: 1.15 3.01 4.43  0.010
C: 0.40 2.57 -1.91  0.016
C: -3.54 2.30 -0.70  0.000
C: -4.24 2.95 -1.71  0.000
C: -4.17 4.98 -0.43  0.000
C: -0.01 -0.01 -4.27  0.002
C: -2.22 -2.91 -3.11  0.005
C: -5.21 5.00 -2.67  0.000
C: -2.04 -3.78 -4.19  0.000
C: 3.80 0.20 -0.27  0.008
C: 1.41 1.98 3.34  0.047
C: -3.72 1.62 2.39  -0.004
C: -1.20 -3.47 -5.25  0.002
C: 3.18 -0.66 -2.49  0.000
C: -1.20 3.39 -3.52  0.002
C: -3.14 2.98 0.44  -0.002
C: -0.56 -2.24 -5.23  0.001
C: 1.07 4.48 -3.22  0.001
C: -4.53 4.30 -1.59  0.000
C: -1.03 -4.43 -6.41  0.000
C: 0.00 -3.75 -0.41  0.005
B: 0.27 -1.11 2.15  0.091
H: 0.45 2.66 5.18  0.000
H: -1.42 -5.42 -6.17  0.000
H: -0.67 0.72 -4.75  0.000
H: 3.19 -1.46 1.76  0.001
H: 0.23 4.32 2.17  0.000
H: -0.71 -3.01 -0.75  0.004
H: 0.03 -4.54 -6.67  0.000
H: -2.60 -4.71 -4.20  0.000
H: 2.32 0.01 -2.55  0.000
H: -0.64 0.56 4.87  0.000
H: 1.00 -2.61 -2.88  0.000
H: 2.49 -3.57 -2.80  0.000
H: 5.50 -1.56 -1.32  0.000
H: -1.27 4.83 1.44  0.000
H: -1.32 4.34 4.11  0.000
H: -0.30 -4.73 -0.81  0.000
H: -2.00 2.79 4.59  0.000
H: -1.54 -4.07 -7.30  0.000
H: 3.37 2.38 2.49  0.000
H: -0.32 3.56 0.67  0.000
H: 2.00 4.34 -2.67  0.000
H: 2.18 3.62 2.09  0.000
H: -4.49 2.38 2.44  0.000
H: 4.44 -2.94 -1.61  0.000
H: 4.05 -0.11 -2.85  0.000
H: -4.55 2.41 -2.60  0.000
H: 1.53 0.32 4.78  0.001
H: -2.74 -3.78 -1.18  0.000
H: -0.76 -1.68 6.21  0.000
H: -3.48 1.34 3.41  0.000
H: 2.98 0.92 -0.30  0.006
H: 3.40 -4.35 -0.45  0.000
H: 2.25 -4.74 6.03  0.000
H: 2.16 2.07 1.26  0.014
H: -4.14 0.75 1.88  0.000
H: 3.05 1.09 4.35  0.001
H: -3.32 1.24 -0.82  0.000
H: -2.95 3.90 3.62  0.000
H: -1.04 3.32 -4.60  0.000
H: -0.05 -3.80 0.68  0.000
H: 0.07 -1.96 -6.07  0.000
H: 4.07 0.02 0.78  0.000
H: 3.01 -1.50 -3.15  0.000
H: 2.11 -4.84 0.66  0.000
H: 0.89 -0.08 -4.89  0.000
H: 0.91 -4.36 -2.78  0.000
H: -3.26 4.86 1.49  0.000
H: 2.28 -0.03 3.22  0.000
H: 2.73 -4.20 3.66  0.000
H: -1.76 4.30 -3.30  0.000
H: 0.26 0.37 -3.29  0.001
H: -3.93 -4.04 -2.46  0.000
H: 2.92 -3.16 1.45  0.000
H: 4.80 -2.42 0.05  0.000
H: 1.27 4.42 -4.29  0.000
H: 0.54 -3.50 7.29  0.000
H: 4.66 0.66 -0.75  0.001
H: 0.66 5.47 -2.98  0.000
H: -4.43 6.03 -0.32  0.000
H: -1.75 2.52 -3.18  0.001
H: -2.00 0.20 3.81  0.000
H: 0.80 3.97 4.04  0.000
H: 2.14 -5.46 -0.99  0.000
H: 2.10 3.20 4.94  0.004
H: -3.79 -2.46 -1.68  0.002

The LUMO energy (spin up / spin down) comes out at -2.687 / -4.055 eV. The value obtained for the energy above the lowest of the compared OMol25 structures with the same formula, charge and spin is 1.320 eV. The net charge is +1. The expectation value of S² is 2.028. The calculation puts the HOMO-LUMO gap (spin up / spin down) at 6.633 / 5.816 eV. The calculation puts the HOMO energy (spin up / spin down) at -9.3 / -9.9 eV. Its multiplicity is 3. The value obtained for the calculated total energy is -141590.7512 eV.

2.
C45H65BiN4P2SeSi | wB97M-V/def2-TZVPD

Each line ends with the Mulliken charge.
CARTESIAN COORDINATES (ANGSTROEM)
Bi: 0.42 0.40 -0.01  3.054